
Quetz delegates the task of authenticating users (checking passwords etc.) to third-party identity providers. It can communicate via the OAuth2 and OpenID protocols supported by services such as Github and Google. This means that you can configure Quetz to have users log in with their Github accounts. Quetz also supports the PAM-based authentication which uses local Unix users for authentication.


While it is possible to register and use multiple authenticators at once, it is heavily discouraged and a warning will be printed. Currently quetz does not automatically merge accounts based on email addresses and usernames from different auth providers can overlap.

A warning will be printed when running quetz with multiple activated auth providers.

Built-in authenticators#

These authenticator classes are built-in and can be activated by adding relevant section to the configuration file. See below for more details (the class names are only for reference, they are already included in the Quetz server).


class quetz.authentication.pam.PAMAuthenticator(config: quetz.config.Config, provider=None, app=None)#

Use PAM to authenticate with local system users.

To enable add the following to your configuration file:

# name for the provider, used in the login URL
provider = "pam"
# use the following to translate the Unix groups that
# users might belong to user role on Quetz server
admin_groups = ["root", "quetz"]
maintainer_groups = []
user_groups = []

On most Linux systems you can add users with:

useradd USERNAME
# set password interactively with


For this authenticator to work, the user who runs the server must be root or be in shadow group.


class quetz.authentication.github.GithubAuthenticator(config: quetz.config.Config, client_kwargs=None, provider=None, app=None)#

Use Github account to authenticate users with Quetz.

To enable add the following to the configuration file:

client_id = "fde330aef1fbe39991"
client_secret = "03728444a12abff17e9444fd231b4379d58f0b"

You can obtain client_id and client_secret by registering your application with Github at this URL:


class quetz.authentication.gitlab.GitlabAuthenticator(config: quetz.config.Config, client_kwargs=None, provider=None, app=None)#

Use Gitlab account to authenticate users with Quetz.

To enable add the following to the configuration file:

client_id = "fde330aef1fbe39991"
client_secret = "03728444a12abff17e9444fd231b4379d58f0b"

The above will use You can specify a self-hosted GitLab instance using the url parameter:

url = ""
client_id = "fde330aef1fbe39991"
client_secret = "03728444a12abff17e9444fd231b4379d58f0b"

You can obtain client_id and client_secret by registering your application with Gitlab at this URL: or if using a self-hosted GitLab instance. Select openid as scope. If you want to collect email addresses, make sure to also select email, profile and read_user as scope in the Gitlab interface.


class quetz.config.Config, client_kwargs=None, provider=None, app=None)#

Use Google account to authenticate users with Quetz.

To enable add the following to the configuration file:

client_id = ""
client_secret = "03728444a12abff17e9444fd231b4379d58f0b"

You can obtain client_id and client_secret by registering your application with Google platfrom at this URL:


class quetz.authentication.jupyterhub.JupyterhubAuthenticator(config: quetz.config.Config, client_kwargs=None, provider=None, app=None)#

Use Oauth2 protcol to authenticate with jupyterhub server, which acts as identity provider.

To activate add the following section to the config.toml (see Config file):


# client credentials, they need to be registered with
# jupyterhub by adding an external service
client_id = "quetz_client"
client_secret = "super-secret"

# token enpoint of Jupyterhub, needs to be accessible from Quetz server
access_token_url = "http://JUPYTERHUB_HOST:PORT/hub/api/oauth2/token"

# authorize endpoint of JupyterHub, needs to be accessible from users' browser
authorize_url = "http://JUPYTERHUB_HOST:PORT/hub/api/oauth2/authorize"

# API root, needs to be accesible from Quetz server
api_base_url = "http://JUPYTERHUB_HOST:PORT/hub/api/"

To configure quetz as an oauth client in JupyterHub, you will need to define a JupyterHub service. You can achieve it by adding the following to the file of your JupyterHub instance: = [
        # service name, it will be used to setup routers
        'name': 'quetz',
        # quetz URL to setup redirections, only required if you use
        # JupyterHub url scheme
        'url': 'http://QUETZ_HOST:PORT',
        # any secret >8 characters, you will also need to set
        # the client_secret in the authenticator config with this
        # string
        'api_token': 'super-secret',
        # client_id in the authenticator config
        'oauth_client_id': 'quetz_client',
        # URL of the callback endpoint on the quetz server
        'oauth_redirect_uri': 'http://QUETZ_HOST:PORT/auth/jupyterhub/authorize',

Custom authenticators#

You can also implement new authenticators for Quetz server.

Authentication base classes#

The authenticator should derive from one of the base classes:

class quetz.authentication.base.BaseAuthenticator(config: quetz.config.Config, provider=None, app=None)#

Base class for authenticators.

**Someone pasted crystal structures at this point:**
Record 1
4
Lattice="-1.617 1.081 4.371 -4.700 -0.062 0.895 -1.861 -3.423 2.776" Properties=species:S:1:pos:R:3 comment="TbSnPd2 (r2SCAN, relaxed)" density_g_cm3=10.52 pbc="T T T"
Sn 0.000 0.000 0.000
Pd -6.134 -1.804 6.032
Pd -2.045 -0.601 2.011
Tb -4.089 -1.203 4.021

---

Record 2
4
Lattice="-3.034 0.330 3.618 -4.651 -0.429 -0.765 -2.303 -3.847 1.516" Properties=species:S:1:pos:R:3 comment="TmSnPd2 (r2SCAN, relaxed)" density_g_cm3=11.09 pbc="T T T"
Pd -2.497 -0.987 1.092
Pd -7.490 -2.960 3.277
Tm -4.994 -1.973 2.184
Sn 0.000 0.000 0.000

---

Record 3
9
Lattice="3.760 -6.512 0.000 3.760 6.512 0.000 0.000 0.000 3.872" Properties=species:S:1:pos:R:3 comment="TmSnPd (r2SCAN, relaxed)" density_g_cm3=10.35 pbc="T T T"
Sn 2.773 4.804 0.000
Sn 2.773 -4.804 0.000
Sn 1.973 0.000 0.000
Pd 0.000 0.000 1.936
Pd 3.760 2.171 0.000
Pd 3.760 -2.171 0.000
Tm 1.518 2.630 1.936
Tm 1.518 -2.630 1.936
Tm 4.483 0.000 1.936

---

Record 4
6
Lattice="0.017 4.481 -2.120 -3.407 -3.352 -1.316 -3.610 2.012 4.222" Properties=species:S:1:pos:R:3 comment="USnPd (r2SCAN, relaxed)" density_g_cm3=12.23 pbc="T T T"
Sn -3.831 3.379 1.314
Sn -3.168 -0.238 -0.528
U -3.610 2.012 4.222
U -5.212 -2.346 0.795
Pd -2.027 2.373 -0.797
Pd -4.973 0.768 1.582

---

Record 5
12
Lattice="-4.457 0.660 1.004 -1.766 -1.524 -6.836 -0.711 -7.690 1.898" Properties=species:S:1:pos:R:3 comment="YSnPd (r2SCAN, relaxed)" density_g_cm3=7.87 pbc="T T T"
Y -2.130 -2.172 -2.720
Y -3.859 -4.950 2.039
Y -3.075 -3.604 -5.973
Y -4.804 -6.382 -1.213
Sn -4.863 -3.734 -3.215
Sn -3.749 -0.478 -0.413
Sn -2.071 -4.820 -0.719
Sn -3.185 -8.077 -3.521
Pd -2.126 -7.193 0.598
Pd -4.162 -3.159 -0.481
Pd -2.772 -5.395 -3.452
Pd -4.808 -1.361 -4.532

---

Record 6
6
Lattice="-3.447 -3.093 -2.830 4.806 -2.000 1.535 -1.788 -1.428 3.739" Properties=species:S:1:pos:R:3 comment="SrPd5 (r2SCAN, relaxed)" density_g_cm3=9.20 pbc="T T T"
Pd 2.055 -2.364 0.080
Pd -2.618 -2.260 0.454
Pd -0.214 -3.260 1.222
Pd -0.696 -2.728 -1.375
Pd 1.509 -1.714 2.637
Sr 0.000 0.000 0.000

---

Record 7
4
Lattice="-4.252 0.000 0.000 0.000 0.000 -4.522 -2.126 -5.670 0.000" Properties=species:S:1:pos:R:3 comment="SrPd (r2SCAN, relaxed)" density_g_cm3=5.91 pbc="T T T"
Pd -2.126 -0.800 -3.391
Pd -4.252 -4.869 -1.130
Sr -2.126 -4.090 -3.391
Sr -4.252 -1.580 -1.130

---

Record 8
4
Lattice="-1.329 -1.327 -3.423 1.368 -3.557 0.848 -3.513 1.508 3.006" Properties=species:S:1:pos:R:3 comment="TaPd3 (r2SCAN, relaxed)" density_g_cm3=13.61 pbc="T T T"
Pd -1.062 -2.246 1.283
Pd -2.411 -1.131 -0.852
Pd 0.020 -2.442 -1.287
Ta 0.000 0.000 0.000

---

Record 9
3
Lattice="-1.304 1.938 -1.682 -0.554 -2.704 -2.683 -2.787 -0.592 3.934" Properties=species:S:1:pos:R:3 comment="TaPd2 (r2SCAN, relaxed)" density_g_cm3=13.98 pbc="T T T"
Pd -2.488 -0.653 1.173
Pd -2.157 -0.705 -1.604
Ta 0.000 0.000 0.000

---

Record 10
40

Subclasses MUST implement:

Subclasses SHOULD implement:

  • configure()

  • validate_token()

class quetz.authentication.base.SimpleAuthenticator(config: quetz.config.Config, provider=None, app=None)#

A demo of a possible implementation. It redirects users to a simple HTML form where they can type their username and password.

Note: Consider this an example. In your production setting you would probably want to redirect to your custom login page. Make sure that this page submits data to /auth/{provider}/authorize endpoint.

class quetz.authentication.oauth2.OAuthAuthenticator(config: quetz.config.Config, client_kwargs=None, provider=None, app=None)#

Base class for authenticators using Oauth2 protocol and its variants.

The authenticate() method is already implemented, but you will need to override some of the following variables in sublasses to make it work:

  • provider (str) – name of the provider (it will be used in the url)

  • handler_cls – class with handlers for all oauth2 relevant endpoints in Quetz server

  • client_id – required, client id registered with the provider

  • client_secret – required, likewise

  • is_enabled (bool) – True if authenticator is enabled, can be configured in configure() method

  • access_token_url – URL of the OAuth2 endpoint ot request a token

  • authorize_url – URL of the OAuth2 authorize endpoint

  • api_base_url – URL of the API root of the provider server

  • validate_token_url – path of endpoint to validate the token

Implement authentication logic#

To implement some custom authentication logic, your class should override at least authenticate() method (except for OAuthAuthenticator subclasses):

async BaseAuthenticator.authenticate(request, data=None, dao=None, config=None, **kwargs) Optional[Union[str, quetz.authentication.base.UserDict]]#

Authentication user with the data submitted.

This method should return:

  • None if the authentication failed,

  • string with username for successful authentication

  • or a dictionary with keys username, profile (user profile data), auth_state (extra authentication state to be stored in the browser session).

For example, the custom authenticator might be:

class DictionaryAuthenticator(SimpleAuthenticator):
    """Simple demo authenticator that authenticates with
    users from a dictionary of usernames and passwords."""

    passwords: dict = {"happyuser": "happy"}
    provider = "dict"

    async def authenticate(self, request, data, **kwargs):
        """``data`` argument is username and password entered by
        user in the login form."""

        if self.passwords.get(data['username']) == data['password']:
            return data['username']

Registering authenticator#

The standard way to register an authenticator with Quetz, is to distibute it as a plugin (see Plugins). To automatize the creation of a plugin, check out our cookiecutter template.

If not using the cookiecutter, you can register an authenticator with Quetz by defining an entry point. You can create entry point with the following snippet in the

from setuptools import setup

# you will need to adapt these variables
# to the names from your package
PACKAGE_NAME = quetz_dictauthenticator
AUTHENTICATOR_CLASS = "DictAuthenticator"
MODULE_NAME = authenticators

        "quetz.authenticator": [